1. The beginning (a line in the sand)

1.1 The idea for this platform “materialised” when I got interested in the NFT’s (Non Fungible Tokens) and, after some reading, grasped to some extent how they work and what they could be used for. This event was the catalyst, the trigger.

1.2 I say “materialised” as ideas in my mind come with different degrees of “matter”, for lack of a better word. The closer they are to manifesting the “denser” they are. In this respect, even when still in my mind they have this attribute which indicates how closer they are to come out and become real.

1.3 Another word that comes to mind, besides “catalyst” is “convergence”. When reading about successful NFT’s artists (the ones I can relate to) and appreciating the possibilities of the technology for art in the digital space, I realised how a good fit this all is for what I have been doing for a long time. My gut-feeling, which is all important, is telling me that time has come for a number of personal expression workstreams to converge. “Confluence” is another appropriate term for this.


1.4 I am aware I haven’t introduced myself, not yet. The thing is I am not sure an introduction would be interesting anyway. I don’t think I’m an interesting person per se. Additionally, I have always been wary of the fact that appearances may fuel stereotypes and set expectations in people’s mind. Hence the decision of just leaving my artistic expressions tell about me. After all, they do have a direct connection to the “inner core” of me.

1.5 The “convergence” is the realisation that 1) all the activities and projects that in the past I kept separate now have a strong reason to be pulled all together, 2) the issue of identity has to be resolved in harmony with the distinctive traits of the projects and 3) I have to step up and embrace activities that I have always shunned in order to make everything work together well. That is everything related to social media and promotion.

1.6 I have always strived at keeping my artistic life separate from my professional life to avoid situations where the former impacts negatively the latter. In the daily job I do, this has always been a concern of mine, as employers not always look on that favourably, consciously or not. Additionally the variety of creative output can also impact the way the same output is perceived within the creative industry itself. Too much variety is often perceived as indicator of lower quality. I have to say that things seem to have improved a lot in the past few years.

[The text is interrupted by records of crystals]
┌──
# 1
Here is a relaxed CaPaCuO6 crystal from Alexandria via LeMat-Bulk. Energies are from PBE-GGA.

Values from the calculation:
The formation energy (no corrections) is -1.93 eV per atom. The calculation puts the total moment at 0.00 μB per formula unit. Its total DFT energy (no corrections) is -6.97 eV per atom. The calculation puts the density at 6.12 g cm⁻³. The value obtained for the density of states at the Fermi level is 0.6278 states/eV/atom.

Lattice parameters (Å, degrees): 5.3253 5.3253 4.7599 90.00 90.00 120.00
Last column: nearest neighbours and their distance in Å.
Fractional coordinates of all 9 atoms:
Ca (0.0000, 0.0000, 0.0000)  6 O 2.30
Pa (0.6667, 0.3333, 0.5000)  6 O 2.15
Cu (0.3333, 0.6667, 0.0000)  6 O 1.96
O (0.0174, 0.3832, 0.2385)  1 Cu 1.96, 1 Pa 2.15
O (0.0174, 0.6341, 0.7615)  1 Cu 1.96, 1 Pa 2.15
O (0.3659, 0.3832, 0.7615)  1 Cu 1.96, 1 Pa 2.15
O (0.3659, 0.9826, 0.2385)  1 Cu 1.96, 1 Pa 2.15
O (0.6168, 0.6341, 0.2385)  1 Cu 1.96, 1 Pa 2.15
O (0.6168, 0.9826, 0.7615)  1 Cu 1.96, 1 Pa 2.15


# 2
Here is a relaxed Sr4CaYCu6Pb4O16 crystal from Alexandria via LeMat-Bulk. Energies are from PBE-GGA.

Values from the calculation:
The formation energy (no corrections) is -1.64 eV per atom. The calculation puts the total moment at 0.00 μB per formula unit. Its total DFT energy (no corrections) is -5.83 eV per atom. The energy above the most stable polymorph in this dataset comes out at 0.000 eV per atom. The calculation puts the density at 6.86 g cm⁻³. The value obtained for the density of states at the Fermi level is 0.2502 states/eV/atom.

Lattice parameters (Å, degrees): 5.4295 5.4295 15.9727 90.00 90.00 89.39
Last column: nearest neighbours and their distance in Å.
Fractional coordinates of all 32 atoms:
Sr (0.0003, 0.0003, 0.2180)  9 O 2.69-2.81
Sr (0.9997, 0.9997, 0.7820)  9 O 2.69-2.81
Sr (0.4986, 0.4986, 0.7801)  9 O 2.66-2.79
Sr (0.5014, 0.5014, 0.2199)  9 O 2.66-2.79
Ca (0.0000, 0.0000, 0.0000)  8 O 2.46-2.49
Y (0.5000, 0.5000, 0.0000)  8 O 2.40-2.42
Cu (0.0000, 0.0000, 0.5000)  2 O 1.87
Cu (0.9996, 0.4990, 0.8938)  4 O 1.92-1.94
Cu (0.0004, 0.5010, 0.1062)  4 O 1.92-1.94
Cu (0.4990, 0.9996, 0.8938)  4 O 1.92-1.94
Cu (0.5000, 0.5000, 0.5000)  2 O 1.86
Cu (0.5010, 0.0004, 0.1062)  4 O 1.92-1.94
Pb (0.0097, 0.4912, 0.3876)  3 O 2.19-2.43
Pb (0.4912, 0.0097, 0.3876)  3 O 2.19-2.43
Pb (0.5088, 0.9903, 0.6124)  3 O 2.19-2.43
Pb (0.9903, 0.5088, 0.6124)  3 O 2.19-2.43
O (0.0046, 0.4932, 0.7491)  1 Pb 2.19, 1 Cu 2.31
O (0.0442, 0.0442, 0.3850)  1 Cu 1.87
O (0.2543, 0.2543, 0.9074)  2 Cu 1.92
O (0.2535, 0.7451, 0.9049)  2 Cu 1.94
O (0.2549, 0.7465, 0.0951)  2 Cu 1.94
O (0.2557, 0.2557, 0.0951)  2 Cu 1.92
O (0.4568, 0.4568, 0.3851)  1 Cu 1.86
O (0.4932, 0.0046, 0.7491)  1 Pb 2.19, 1 Cu 2.31
O (0.5068, 0.9954, 0.2509)  1 Pb 2.19, 1 Cu 2.31
O (0.5432, 0.5432, 0.6149)  1 Cu 1.86
O (0.7443, 0.7443, 0.9049)  2 Cu 1.92
O (0.7451, 0.2535, 0.9049)  2 Cu 1.94
O (0.7465, 0.2549, 0.0951)  2 Cu 1.94
O (0.7457, 0.7457, 0.0926)  2 Cu 1.92
└──

1.7 These are some of the reasons why I have assigned different creative output to different “identities”, to different aspects of my persona. For example: the graphic novel and children book writer is different than the poet or the visual artist or the musician. By doing that I have also achieved a healthy separation of duties, at least in my mind.

1.8 I have also always shied away from social media and the related platforms, mostly because I have never thought of having anything interesting to say, not on the consistent basis. Additionally I have always been aware of the fact the often social media interaction attracts undesired effects that go beyond the specific project one is sharing. But by doing that I’m not obviously enjoying the positive side of sharing and perhaps contributing.

1.9 When I explored the NFT world something clicked in me. Most of my work over the past twenty years or so has been digital, natively digital. Both in its conception and execution. I thought: “this is a natural fit for me and my work and I need to do something about it”. I feel that now I have not only something to tell and share, something that hopefully, will bring some positive stuff into our world, but also an exciting way to communicate it.

1.10 So this is now the new creative project for me to which I will commit a good chunk of my energies: to harmonise the different creative streams and unify them by preserving their specific identities, and then share them with whoever is willing to spend some time on this. And Hopedia for me is the ideal platform on which to do the sharing of this journey and its story.
